[File]
-- begin --
This record from the Open Molecules 2025 dataset describes a structure of composition C48H42BF4N6O2PTi. The level of theory is the ωB97M-V functional and the def2-TZVPD basis.

Geometry (Å):
Ti 0.556 -0.443 0.770
P 0.180 2.082 0.140
F 0.632 -0.581 -1.497
F 2.153 -2.267 -2.016
F -0.144 -2.673 -2.156
F 0.856 -2.366 -0.080
O 2.332 -0.316 0.817
O 4.906 -0.034 2.535
N -4.274 -4.462 -2.222
N -1.038 2.620 -0.953
N -5.609 -6.322 -2.882
N -2.600 1.687 0.448
N -1.409 -1.266 0.540
N 4.751 1.777 0.366
C 5.235 -0.900 3.625
C -3.755 -2.687 0.112
C 3.258 2.731 -2.479
C 4.303 -3.328 0.586
C -0.473 4.752 3.848
C 0.304 -0.396 2.827
C 3.548 4.080 -2.319
C -2.975 -2.926 1.229
C -5.134 -3.625 -2.812
C -3.861 1.435 0.812
C -1.210 4.995 2.696
C 4.944 0.679 -0.299
C -2.151 -1.088 -0.561
C 3.384 -1.099 0.613
C -2.383 2.334 -0.692
C 5.317 -2.935 -0.299
C 1.575 2.882 -0.750
C 4.382 1.716 4.096
C -0.073 -0.179 5.639
C -6.471 -5.476 -3.445
C 0.478 3.745 3.861
C 1.269 -0.838 3.748
C 0.698 2.975 2.725
C -4.546 -5.762 -2.306
C 2.276 2.132 -1.695
C 4.159 3.061 4.324
C 4.252 3.467 1.976
C -4.051 -1.427 -2.076
C 1.857 4.241 -0.607
C -4.717 2.488 -1.137
C 4.564 1.232 2.805
C -1.014 4.207 1.572
C -6.264 -4.108 -3.459
C 4.465 2.113 1.725
C -3.318 -1.773 -0.838
C -1.809 -2.213 1.403
C 4.102 3.950 3.257
C -0.863 0.155 3.391
C 2.846 4.836 -1.383
C 3.348 -2.435 1.012
C -1.057 0.260 4.760
C -4.952 1.811 0.058
C 4.529 -0.647 -0.091
C 5.411 -1.616 -0.636
C 1.093 -0.731 5.126
C -4.847 -2.171 -2.844
C -0.065 3.184 1.581
C -3.420 2.753 -1.530
B 0.889 -2.032 -1.531
H -3.202 3.295 -2.445
H -3.917 -0.394 -2.391
H -5.548 2.821 -1.748
H 3.063 5.891 -1.261
H -0.646 5.348 4.739
H -3.824 -6.438 -1.856
H 4.247 -4.362 0.909
H -7.350 -5.918 -3.903
H -1.187 -2.373 2.265
H 4.052 3.420 5.342
H -1.972 0.699 5.146
H 4.464 1.041 4.937
H -0.779 2.929 -1.871
H 1.048 3.545 4.759
H 2.201 -1.268 3.386
H -5.336 -1.660 -3.669
H 6.213 -1.271 -1.281
H 5.596 0.837 -1.154
H -3.989 0.905 1.753
H 1.454 2.203 2.735
H 4.243 4.153 1.134
H -5.959 1.597 0.394
H -4.701 -3.195 -0.012
H -1.789 -0.362 -1.274
H -1.612 4.385 0.683
H 5.566 -1.830 3.172
H -1.638 0.537 2.732
H -0.213 -0.090 6.710
H 1.311 4.831 0.120
H 5.002 2.600 -0.170
H 6.016 -3.660 -0.695
H 2.527 -2.770 1.621
H 1.868 -1.086 5.802
H -3.265 -3.655 1.974
H 6.039 -0.479 4.229
H 4.313 4.548 -2.930
H -1.940 5.796 2.674
H -6.959 -3.436 -3.948
H 4.364 -1.096 4.253
H 3.790 2.145 -3.221
H 2.052 1.077 -1.822
H 3.950 5.009 3.423

## Properties
highest occupied orbital energy (alpha / beta): -9.51 / -10.69 eV
gap between HOMO and LUMO (alpha / beta): 6.0 / 7.2 eV
multiplicity: 2
lowest unoccupied orbital energy (alpha / beta): -3.52 / -3.50 eV
charge: +1
calculated total energy: -107446.4700 eV

----------

Record 1
{
  "formula": "C2H2O2",
  "method": "ωB97M-V/def2-TZVPD",
  "e_lumo_ev": 0.05,
  "multiplicity": 1,
  "energy_ha": -227.801552,
  "mol_weight_g_mol": 58.04,
  "homo_lumo_gap_ev": 8.927,
  "max_force_ha_per_bohr": 0.0978,
  "symbols": ["C", "C", "O", "O", "H", "H"],
  "positions_angstrom": [[0.93345, 0.40352, -0.06308], [-0.80494, -0.44329, -0.03098], [1.91020, -0.20979, 0.18891], [-1.68997, 0.26052, 0.19189], [0.57935, 1.50067, 0.04276], [-0.92810, -1.51163, -0.32951]],
  "atomic_forces_ev_per_a": [[-3.968, -1.527, 1.514], [4.632, -0.788, -1.791], [0.126, 0.986, -0.586], [-2.396, 2.075, 0.933], [1.265, -0.798, -0.407], [0.343, 0.052, 0.335]],
  "lowdin_charge": [-0.14, -0.19, 0.05, 0.06, 0.12, 0.10]
}


Record 2
{
  "formula": "C10H10N2OS",
  "method": "ωB97M-V/def2-TZVPD",
  "e_lumo_ev": 0.70,
  "smiles": "N#CCSCC(=O)Nc1ccccc1",
  "multiplicity": 1,
  "energy_ha": -969.976500,
  "mol_weight_g_mol": 206.27,
  "homo_lumo_gap_ev": 9.979,
  "max_force_ha_per_bohr": 0.0621,
  "symbols": ["C", "C", "C", "C", "C", "C", "C", "C", "C", "C", "H", "H", "H", "H", "H", "H", "H", "H", "H", "H", "N", "N", "O", "S"],
-- stop --
[Exercise]
Next, repeat the part of the rows above that starts with the line with "-1.809 -2.213" and stops after the one with "4.243 4.153".
[Outcome]
C -1.809 -2.213 1.403
C 4.102 3.950 3.257
C -0.863 0.155 3.391
C 2.846 4.836 -1.383
C 3.348 -2.435 1.012
C -1.057 0.260 4.760
C -4.952 1.811 0.058
C 4.529 -0.647 -0.091
C 5.411 -1.616 -0.636
C 1.093 -0.731 5.126
C -4.847 -2.171 -2.844
C -0.065 3.184 1.581
C -3.420 2.753 -1.530
B 0.889 -2.032 -1.531
H -3.202 3.295 -2.445
H -3.917 -0.394 -2.391
H -5.548 2.821 -1.748
H 3.063 5.891 -1.261
H -0.646 5.348 4.739
H -3.824 -6.438 -1.856
H 4.247 -4.362 0.909
H -7.350 -5.918 -3.903
H -1.187 -2.373 2.265
H 4.052 3.420 5.342
H -1.972 0.699 5.146
H 4.464 1.041 4.937
H -0.779 2.929 -1.871
H 1.048 3.545 4.759
H 2.201 -1.268 3.386
H -5.336 -1.660 -3.669
H 6.213 -1.271 -1.281
H 5.596 0.837 -1.154
H -3.989 0.905 1.753
H 1.454 2.203 2.735
H 4.243 4.153 1.134